Source.
********
# Fe2BAs
Calculated PXRD pattern, Cu Kα, 1.54184 Å. Input: a cell relaxed with PBE.
No peak broadening, texture or thermal motion is included.

The 12 most intense peaks (15 to 90 degrees two-theta), by intensity:
Position (°2θ), Rel. int.
47.19, 100
87.79, 28
36.90, 25
68.96, 14
28.38, 9
71.40, 8
50.25, 8
16.27, 8
80.86, 5
55.99, 4
32.88, 3
76.18, 2

Structural model:
a = 5.447 Å, b = 5.447 Å, c = 5.447 Å
α = 90.00°, β = 90.00°, γ = 90.00°
Sites, in units of the cell vectors:
Fe 0.232 0.232 0.232
Fe 0.232 0.232 0.768
Fe 0.232 0.768 0.232
Fe 0.232 0.768 0.768
Fe 0.768 0.232 0.232
Fe 0.768 0.232 0.768
Fe 0.768 0.768 0.232
Fe 0.768 0.768 0.768
B 0.000 0.000 0.000
B 0.000 0.000 0.500
B 0.000 0.500 0.000
B 0.500 0.000 0.000
As 0.000 0.500 0.500
As 0.500 0.000 0.500
As 0.500 0.500 0.000
As 0.500 0.500 0.500

# NaHoTe
Calculated PXRD pattern, Cu Kα, 1.54184 Å. Input: a cell relaxed with PBE.
No peak broadening, texture or thermal motion is included.

The 12 most intense peaks (15 to 90 degrees two-theta), by intensity:
Position (°2θ), Rel. int.
35.62, 100
21.59, 85
42.03, 45
63.98, 36
56.24, 19
51.26, 18
86.30, 16
68.37, 14
79.54, 14
75.42, 11
24.98, 5
57.84, 2

Structural model:
a = 5.041 Å, b = 5.041 Å, c = 5.041 Å
α = 60.00°, β = 60.00°, γ = 60.00°
Sites, in units of the cell vectors:
Na 0.000 0.000 0.000
Ho 0.500 0.500 0.500
Te 0.750 0.750 0.750

# Zr2B6Pt
Calculated PXRD pattern, Cu Kα, 1.54184 Å. Input: a cell relaxed with PBE.
No peak broadening, texture or thermal motion is included.

The 12 most intense peaks (15 to 90 degrees two-theta), by intensity:
Position (°2θ), Rel. int.
25.32, 100
40.17, 51
42.53, 43
40.69, 41
30.66, 39
41.94, 36
33.60, 34
46.26, 32
31.31, 31
32.88, 27
38.05, 25
18.36, 23

Structural model:
a = 9.049 Å, b = 11.427 Å, c = 3.518 Å
α = 90.00°, β = 90.00°, γ = 90.00°
Sites, in units of the cell vectors:
Zr 0.054 0.130 0.000
Zr 0.188 0.407 0.000
Zr 0.312 0.907 0.000
Zr 0.446 0.630 0.000
Zr 0.554 0.370 0.000
Zr 0.688 0.093 0.000
Zr 0.812 0.593 0.000
Zr 0.946 0.870 0.000
B 0.022 0.286 0.500
B 0.052 0.560 0.500
B 0.101 0.974 0.500
B 0.132 0.822 0.500
B 0.203 0.242 0.500
B 0.246 0.076 0.500
B 0.254 0.576 0.500
B 0.297 0.742 0.500
B 0.368 0.322 0.500
B 0.399 0.474 0.500
B 0.448 0.060 0.500
B 0.478 0.786 0.500
B 0.522 0.214 0.500
B 0.552 0.940 0.500
B 0.601 0.526 0.500
B 0.632 0.678 0.500
B 0.703 0.258 0.500
B 0.746 0.424 0.500
B 0.754 0.924 0.500
B 0.797 0.758 0.500
B 0.868 0.178 0.500
B 0.899 0.026 0.500
B 0.948 0.440 0.500
B 0.978 0.714 0.500
Pt 0.134 0.665 0.000
Pt 0.366 0.165 0.000
Pt 0.634 0.835 0.000
Pt 0.866 0.335 0.000

# KNaAgAs
Calculated PXRD pattern, Cu Kα, 1.54184 Å. Input: a cell relaxed with PBE.
No peak broadening, texture or thermal motion is included.

The 12 most intense peaks (15 to 90 degrees two-theta), by intensity:
Position (°2θ), Rel. int.
18.85, 100
39.03, 58
15.22, 48
34.69, 40
34.38, 40
31.29, 38
43.17, 35
35.90, 34
34.09, 31
44.19, 31
35.03, 29
21.68, 29

Structural model:
a = 5.941 Å, b = 5.773 Å, c = 6.222 Å
α = 90.00°, β = 101.58°, γ = 90.00°
Sites, in units of the cell vectors:
K 0.038 0.000 0.183
K 0.962 0.500 0.817
Na 0.330 0.499 0.483
Na 0.670 0.999 0.517
Ag 0.500 0.250 0.000
Ag 0.500 0.750 0.000
As 0.244 0.000 0.708
As 0.756 0.500 0.292

# RbCoW
Calculated PXRD pattern, Cu Kα, 1.54184 Å. Input: a cell relaxed with PBE.
No peak broadening, texture or thermal motion is included.

The 12 most intense peaks (15 to 90 degrees two-theta), by intensity:
Position (°2θ), Rel. int.
39.49, 100
27.64, 50
71.63, 34
23.88, 29
64.57, 19
57.08, 17
46.67, 15
48.88, 14
85.01, 11
62.75, 6
89.92, 5
76.73, 5

Structural model:
a = 4.564 Å, b = 4.564 Å, c = 4.564 Å
α = 60.00°, β = 60.00°, γ = 60.00°
Sites, in units of the cell vectors:
Rb 0.000 0.000 0.000
Co 0.250 0.250 0.250
W 0.500 0.500 0.500

# Sr3Fe2Pt2
Calculated PXRD pattern, Cu Kα, 1.54184 Å. Input: a cell relaxed with PBE.
No peak broadening, texture or thermal motion is included.
********
To do.
Next, duplicate the lines above from the one with "16.27," to the one with "35.90, 34" unchanged.
Done.
16.27, 8
80.86, 5
55.99, 4
32.88, 3
76.18, 2

Structural model:
a = 5.447 Å, b = 5.447 Å, c = 5.447 Å
α = 90.00°, β = 90.00°, γ = 90.00°
Sites, in units of the cell vectors:
Fe 0.232 0.232 0.232
Fe 0.232 0.232 0.768
Fe 0.232 0.768 0.232
Fe 0.232 0.768 0.768
Fe 0.768 0.232 0.232
Fe 0.768 0.232 0.768
Fe 0.768 0.768 0.232
Fe 0.768 0.768 0.768
B 0.000 0.000 0.000
B 0.000 0.000 0.500
B 0.000 0.500 0.000
B 0.500 0.000 0.000
As 0.000 0.500 0.500
As 0.500 0.000 0.500
As 0.500 0.500 0.000
As 0.500 0.500 0.500

# NaHoTe
Calculated PXRD pattern, Cu Kα, 1.54184 Å. Input: a cell relaxed with PBE.
No peak broadening, texture or thermal motion is included.

The 12 most intense peaks (15 to 90 degrees two-theta), by intensity:
Position (°2θ), Rel. int.
35.62, 100
21.59, 85
42.03, 45
63.98, 36
56.24, 19
51.26, 18
86.30, 16
68.37, 14
79.54, 14
75.42, 11
24.98, 5
57.84, 2

Structural model:
a = 5.041 Å, b = 5.041 Å, c = 5.041 Å
α = 60.00°, β = 60.00°, γ = 60.00°
Sites, in units of the cell vectors:
Na 0.000 0.000 0.000
Ho 0.500 0.500 0.500
Te 0.750 0.750 0.750

# Zr2B6Pt
Calculated PXRD pattern, Cu Kα, 1.54184 Å. Input: a cell relaxed with PBE.
No peak broadening, texture or thermal motion is included.

The 12 most intense peaks (15 to 90 degrees two-theta), by intensity:
Position (°2θ), Rel. int.
25.32, 100
40.17, 51
42.53, 43
40.69, 41
30.66, 39
41.94, 36
33.60, 34
46.26, 32
31.31, 31
32.88, 27
38.05, 25
18.36, 23

Structural model:
a = 9.049 Å, b = 11.427 Å, c = 3.518 Å
α = 90.00°, β = 90.00°, γ = 90.00°
Sites, in units of the cell vectors:
Zr 0.054 0.130 0.000
Zr 0.188 0.407 0.000
Zr 0.312 0.907 0.000
Zr 0.446 0.630 0.000
Zr 0.554 0.370 0.000
Zr 0.688 0.093 0.000
Zr 0.812 0.593 0.000
Zr 0.946 0.870 0.000
B 0.022 0.286 0.500
B 0.052 0.560 0.500
B 0.101 0.974 0.500
B 0.132 0.822 0.500
B 0.203 0.242 0.500
B 0.246 0.076 0.500
B 0.254 0.576 0.500
B 0.297 0.742 0.500
B 0.368 0.322 0.500
B 0.399 0.474 0.500
B 0.448 0.060 0.500
B 0.478 0.786 0.500
B 0.522 0.214 0.500
B 0.552 0.940 0.500
B 0.601 0.526 0.500
B 0.632 0.678 0.500
B 0.703 0.258 0.500
B 0.746 0.424 0.500
B 0.754 0.924 0.500
B 0.797 0.758 0.500
B 0.868 0.178 0.500
B 0.899 0.026 0.500
B 0.948 0.440 0.500
B 0.978 0.714 0.500
Pt 0.134 0.665 0.000
Pt 0.366 0.165 0.000
Pt 0.634 0.835 0.000
Pt 0.866 0.335 0.000

# KNaAgAs
Calculated PXRD pattern, Cu Kα, 1.54184 Å. Input: a cell relaxed with PBE.
No peak broadening, texture or thermal motion is included.

The 12 most intense peaks (15 to 90 degrees two-theta), by intensity:
Position (°2θ), Rel. int.
18.85, 100
39.03, 58
15.22, 48
34.69, 40
34.38, 40
31.29, 38
43.17, 35
35.90, 34